Dolphins & Shutdowns

Dolphins are some of the most common cetaceans, and are found in all oceans and many rivers globally. The majority of these species are considered “mid-frequency cetaceans” in accordance with 2018 technical guidance issued by NMFS, with a hearing range of 150 Hz to 160 kHz. (For comparison, the hearing range of low frequency cetaceans – baleen whales – is believed to be approximately 7 Hz to 35 kHz.) While some dolphins are capable of deep dives, delphinids spend the majority of their time close to the surface. For example, one study tracking dive depths across two populations of common bottlenose dolphins showed that the average dive depth ranged from one to 12 meters, with very few deeper dives recorded (Fahlman et al. 2018).

Some policies have proposed that seismic survey operations stop or ramp down for dolphins, and that ramp-up be delayed if dolphins are present within the exclusion zone. These dolphin shutdown proposals, as mitigation measures, broadly and substantially impact seismic operations but have little corresponding environmental benefit. The majority of the energy in a seismic survey signal is below approximately 200 Hz. As mid-frequency hearing specialists, dolphins are only able to detect a small portion of the energy contained in the low-frequency impulsive sounds emitted by seismic operations. Additionally, seismic survey arrays are configured to direct the majority of the sound energy downward into the substrate because energy to the sides of the array is not useful for geological imaging. This means that sound in the upper few meters of the water column – where dolphins spend the majority of their time – is limited.

The article is interrupted by data records.
Theoretical powder diffraction line list
Compound: Y5Mn3Ni3O18
Radiation: Cu Kα (λ = 1.5418 Å)
Structure: the PBE+U geometry in the Materials Project

Cell and atoms:
Cell lengths 7.4831, 5.5162, 17.5210 Å; angles 90.00, 115.24, 90.00 degrees
Element x y z (fractional)
Y (0.0000, 0.1761, 0.0000)
Y (0.0000, 0.8239, 0.5000)
Y (0.1577, 0.3157, 0.6563)
Y (0.1577, 0.6843, 0.1563)
Y (0.3407, 0.1799, 0.3358)
Y (0.3407, 0.8201, 0.8358)
Y (0.6648, 0.1846, 0.6637)
Y (0.6648, 0.8154, 0.1637)
Y (0.8212, 0.3134, 0.3227)
Y (0.8212, 0.6866, 0.8227)
Mn (0.0870, 0.2565, 0.8312)
Mn (0.0870, 0.7435, 0.3312)
Mn (0.4135, 0.2534, 0.1569)
Mn (0.4135, 0.7466, 0.6569)
Mn (0.7367, 0.2695, 0.4955)
Mn (0.7367, 0.7305, 0.9955)
Ni (0.2500, 0.2693, 0.4934)
Ni (0.2500, 0.7307, 0.9934)
Ni (0.5791, 0.2519, 0.8308)
Ni (0.5791, 0.7481, 0.3308)
Ni (0.9093, 0.2497, 0.1598)
Ni (0.9093, 0.7503, 0.6598)
O (0.1682, 0.4298, 0.3829)
O (0.1682, 0.5702, 0.8829)
O (0.2017, 0.2732, 0.1960)
O (0.2017, 0.7268, 0.6960)
O (0.2166, 0.0543, 0.9223)
O (0.2166, 0.9457, 0.4223)
O (0.2485, 0.4473, 0.0664)
O (0.2485, 0.5527, 0.5664)
O (0.2928, 0.2223, 0.7950)
O (0.2928, 0.7777, 0.2950)
O (0.2958, 0.0505, 0.5952)
O (0.2958, 0.9495, 0.0952)
O (0.5260, 0.4580, 0.7228)
O (0.5260, 0.5420, 0.2228)
O (0.5290, 0.2857, 0.5265)
O (0.5290, 0.7143, 0.0265)
O (0.5592, 0.0493, 0.2566)
O (0.5592, 0.9507, 0.7566)
O (0.6084, 0.4338, 0.3898)
O (0.6084, 0.5662, 0.8898)
O (0.6273, 0.2204, 0.1314)
O (0.6273, 0.7796, 0.6314)
O (0.6471, 0.0134, 0.9273)
O (0.6471, 0.9866, 0.4273)
O (0.8681, 0.2797, 0.8621)
O (0.8681, 0.7203, 0.3621)
O (0.8792, 0.4618, 0.0629)
O (0.8792, 0.5382, 0.5629)
O (0.8907, 0.0623, 0.5932)
O (0.8907, 0.9377, 0.0932)
O (0.9289, 0.4422, 0.7286)
O (0.9289, 0.5578, 0.2286)
O (0.9610, 0.0385, 0.2631)
O (0.9610, 0.9615, 0.7631)
O (0.9687, 0.2267, 0.4635)
O (0.9687, 0.7733, 0.9635)

Largest 6 diffraction maxima, most intense first, 2θ = 5–70°:
33.55 deg, d 2.671, I 100
47.67 deg, d 1.908, I 25
33.94 deg, d 2.641, I 25
60.48 deg, d 1.531, I 24
32.46 deg, d 2.758, I 21
48.67 deg, d 1.871, I 17


Theoretical powder diffraction line list
Compound: Mn4Zn3Ni2O12
Radiation: Cu Kα (λ = 1.5418 Å)
Structure: the PBE+U geometry in the Materials Project

Cell and atoms:
Cell lengths 6.0067, 6.0067, 13.2452 Å; angles 102.50, 102.50, 90.36 degrees
Element x y z (fractional)
Mn (0.0000, 0.0000, 0.0000)
Mn (0.0000, 0.0000, 0.5000)
Mn (0.0000, 0.5000, 0.0000)
Mn (0.3321, 0.3396, 0.6661)
Mn (0.3396, 0.3321, 0.1661)
Mn (0.5000, 0.0000, 0.5000)
Mn (0.6604, 0.6679, 0.8339)
Mn (0.6679, 0.6604, 0.3339)
Zn (0.1344, 0.8656, 0.2500)
Zn (0.1993, 0.4774, 0.4161)
Zn (0.4774, 0.1993, 0.9161)
Zn (0.5226, 0.8007, 0.0839)
Zn (0.8007, 0.5226, 0.5839)
Zn (0.8656, 0.1344, 0.7500)
Ni (0.1641, 0.6670, 0.8323)
Ni (0.3330, 0.8359, 0.6677)
Ni (0.6670, 0.1641, 0.3323)
Ni (0.8359, 0.3330, 0.1677)
O (0.0954, 0.5518, 0.1569)
O (0.1004, 0.1043, 0.1627)
O (0.1043, 0.1004, 0.6627)
O (0.1153, 0.5735, 0.6716)
O (0.2048, 0.7512, 0.9959)

In areas of high-density dolphin populations, such as the U.S. Gulf of Mexico, shutdown requirements for a species that frequently exhibits bow-riding behavior – actively approaching and interacting with vessels – could bring all seismic survey activity to a halt. Implementing dolphin-shutdowns would significantly and unnecessarily increase the number of shutdowns and delays in ramp-ups, leading to increased costs for acquisition and much longer survey times to adequately ensure the quality and integrity of the survey data. With no environmental benefit to the target species, dolphin shutdowns prolong the duration of the survey, unnecessarily increasing the potential exposure of other marine mammals to seismic survey operations.

The EnerGeo Alliance does not support dolphin shutdowns and encourages exemptions for all dolphin species regardless of whether a dolphin is attempting to bow-ride. Such an exemption is well-supported by the best available science, which show that seismic surveys do not have any meaningful adverse effects on dolphin species.